# Contents
~~~
Computed, not measured: C37H21Cl5N5O2SSeTi as an isolated structure, with ωB97M-V/def2-TZVPD.

The geometry in XYZ format:
```
73
Properties=species:S:1:pos:R:3:lowdin_spin:R:1
Ti -0.345 -1.054 0.084 0.866
Cl -0.744 -1.928 2.974 0.002
C 0.910 -1.393 2.799 0.008
C 1.314 -1.078 1.505 -0.007
C 2.658 -0.691 1.434 0.008
Cl 3.385 -0.344 -0.103 0.002
C 3.483 -0.560 2.555 -0.002
Cl 5.114 -0.028 2.396 -0.002
C 2.994 -0.858 3.824 0.011
Cl 3.987 -0.685 5.216 0.004
C 1.684 -1.303 3.946 -0.002
Cl 1.046 -1.724 5.489 -0.002
C 4.535 3.686 -2.665 0.000
C 3.460 2.636 -2.696 0.000
C 3.604 1.500 -3.491 0.000
C 2.654 0.494 -3.476 0.000
C 1.545 0.634 -2.655 0.002
C 1.363 1.764 -1.872 0.001
C 2.321 2.762 -1.906 0.000
S 0.445 -0.731 -2.497 0.003
O 0.265 -1.374 -3.762 0.000
O 0.991 -1.597 -1.415 0.017
N -0.841 -0.164 -1.760 -0.003
C -2.139 -0.505 -2.147 -0.002
C -2.635 -0.502 -3.430 0.004
C -3.976 -0.847 -3.672 -0.002
C -4.837 -1.136 -2.649 0.003
C -4.374 -1.098 -1.317 0.000
C -5.211 -1.249 -0.189 0.016
C -4.685 -1.078 1.061 -0.001
C -3.304 -0.874 1.211 0.018
N -2.468 -0.819 0.192 -0.006
C -3.012 -0.824 -1.069 0.005
H 4.942 3.872 -3.659 0.000
H 5.356 3.348 -2.029 0.000
H 4.163 4.623 -2.256 0.000
H 4.473 1.399 -4.130 0.000
H 2.762 -0.392 -4.089 0.000
H 0.495 1.844 -1.231 0.001
H 2.190 3.645 -1.292 0.000
H -1.982 -0.240 -4.250 0.000
H -4.338 -0.854 -4.692 0.000
H -5.877 -1.363 -2.845 0.000
H -6.264 -1.463 -0.328 0.001
H -5.307 -1.131 1.944 0.000
H -2.871 -0.758 2.194 0.001
N -1.540 8.531 2.826 0.003
C -1.403 7.414 2.590 0.001
C -1.226 6.024 2.286 0.005
C -1.151 5.609 0.956 -0.001
C -0.976 4.272 0.660 0.005
C -0.864 3.320 1.683 0.002
C -0.946 3.747 3.011 0.006
C -1.128 5.084 3.310 -0.001
C -0.663 1.948 1.340 0.019
C -0.487 0.789 1.002 -0.009
H -1.237 6.340 0.163 0.000
H -0.932 3.944 -0.370 0.000
H -0.862 3.020 3.807 0.000
H -1.191 5.411 4.339 0.000
Se -2.424 -3.819 0.390 0.007
N -0.779 -3.131 0.158 0.013
C 0.089 -4.134 0.333 0.004
C 1.505 -4.039 0.238 0.001
C 2.245 -5.154 0.474 0.000
C 1.653 -6.411 0.805 0.000
C 0.308 -6.551 0.888 0.000
C -0.510 -5.409 0.651 0.001
N -1.832 -5.430 0.711 0.001
H 1.970 -3.101 -0.022 0.000
H 3.323 -5.085 0.406 0.000
H 2.296 -7.262 0.987 0.000
H -0.168 -7.492 1.128 0.000
```

## Properties
* ⟨S²⟩: 0.76
* charge: 0
* spin multiplicity: 2
* ΔE to the lowest compared entry with this formula, charge and spin: 0.564 eV
* molar mass: 903.8 g mol⁻¹
* HOMO energy (alpha / beta): -0.27058 / -0.29888 hartree
* Kohn-Sham gap (alpha / beta): 5.68 / 6.45 eV

Computed, not measured: C3H4HgO2 as an isolated structure, with ωB97M-V/def2-TZVPD.

The geometry in XYZ format:
```
10
Properties=species:S:1:pos:R:3:lowdin_spin:R:1
H -1.491 0.806 2.193 0.221
H -2.087 1.027 1.505 0.220
O 0.328 0.998 0.103 0.142
O 1.571 -0.143 -1.401 0.032
C -0.806 0.253 0.785 1.186
C -0.409 -0.972 -0.055 0.144
C 0.660 -0.069 -0.592 0.030
H -0.016 -1.846 0.483 0.011
H -1.125 -1.308 -0.818 0.012
Hg 3.375 1.254 -2.202 0.002
```

## Properties
* ⟨S²⟩: 2.01
* charge: 0
* spin multiplicity: 3
* ΔE to the lowest compared entry with this formula, charge and spin: 3.432 eV
* molar mass: 272.7 g mol⁻¹
* HOMO energy (alpha / beta): -0.28787 / -0.28837 hartree
* Kohn-Sham gap (alpha / beta): 8.52 / 6.84 eV

Computed, not measured: C2H3N3O as an isolated structure, with ωB97M-V/def2-TZVPD.

The geometry in XYZ format:
```
9
Properties=species:S:1:pos:R:3:nbo_charge:R:1
C 0.610 0.051 -0.035 0.413
C -0.368 1.142 -0.074 -0.139
H 2.353 -0.808 0.005 0.494
H -0.198 2.258 0.287 0.236
H -1.836 -1.534 -0.139 0.402
N -1.505 0.522 -0.035 -0.213
N -1.140 -0.769 0.014 -0.204
N 0.141 -1.007 0.012 -0.315
O 1.942 0.144 -0.033 -0.674
```

## Properties
* charge: 0
* ΔE to the lowest compared entry with this formula, charge and spin: 2.675 eV
* molar mass: 85.1 g mol⁻¹
* HOMO energy: -0.34017 hartree
* Kohn-Sham gap: 10.22 eV

Computed, not measured: a 8-piece molecular cluster, C16H24N8 overall, with ωB97M-V/def2-TZVPD.

The geometry in XYZ format:
```
48
~~~
# Work order
Please give back the entries further above from the line with "-0.189 0.016" to the end with every line break kept.
# Reply
C -5.211 -1.249 -0.189 0.016
C -4.685 -1.078 1.061 -0.001
C -3.304 -0.874 1.211 0.018
N -2.468 -0.819 0.192 -0.006
C -3.012 -0.824 -1.069 0.005
H 4.942 3.872 -3.659 0.000
H 5.356 3.348 -2.029 0.000
H 4.163 4.623 -2.256 0.000
H 4.473 1.399 -4.130 0.000
H 2.762 -0.392 -4.089 0.000
H 0.495 1.844 -1.231 0.001
H 2.190 3.645 -1.292 0.000
H -1.982 -0.240 -4.250 0.000
H -4.338 -0.854 -4.692 0.000
H -5.877 -1.363 -2.845 0.000
H -6.264 -1.463 -0.328 0.001
H -5.307 -1.131 1.944 0.000
H -2.871 -0.758 2.194 0.001
N -1.540 8.531 2.826 0.003
C -1.403 7.414 2.590 0.001
C -1.226 6.024 2.286 0.005
C -1.151 5.609 0.956 -0.001
C -0.976 4.272 0.660 0.005
C -0.864 3.320 1.683 0.002
C -0.946 3.747 3.011 0.006
C -1.128 5.084 3.310 -0.001
C -0.663 1.948 1.340 0.019
C -0.487 0.789 1.002 -0.009
H -1.237 6.340 0.163 0.000
H -0.932 3.944 -0.370 0.000
H -0.862 3.020 3.807 0.000
H -1.191 5.411 4.339 0.000
Se -2.424 -3.819 0.390 0.007
N -0.779 -3.131 0.158 0.013
C 0.089 -4.134 0.333 0.004
C 1.505 -4.039 0.238 0.001
C 2.245 -5.154 0.474 0.000
C 1.653 -6.411 0.805 0.000
C 0.308 -6.551 0.888 0.000
C -0.510 -5.409 0.651 0.001
N -1.832 -5.430 0.711 0.001
H 1.970 -3.101 -0.022 0.000
H 3.323 -5.085 0.406 0.000
H 2.296 -7.262 0.987 0.000
H -0.168 -7.492 1.128 0.000
```

## Properties
* ⟨S²⟩: 0.76
* charge: 0
* spin multiplicity: 2
* ΔE to the lowest compared entry with this formula, charge and spin: 0.564 eV
* molar mass: 903.8 g mol⁻¹
* HOMO energy (alpha / beta): -0.27058 / -0.29888 hartree
* Kohn-Sham gap (alpha / beta): 5.68 / 6.45 eV

Computed, not measured: C3H4HgO2 as an isolated structure, with ωB97M-V/def2-TZVPD.

The geometry in XYZ format:
```
10
Properties=species:S:1:pos:R:3:lowdin_spin:R:1
H -1.491 0.806 2.193 0.221
H -2.087 1.027 1.505 0.220
O 0.328 0.998 0.103 0.142
O 1.571 -0.143 -1.401 0.032
C -0.806 0.253 0.785 1.186
C -0.409 -0.972 -0.055 0.144
C 0.660 -0.069 -0.592 0.030
H -0.016 -1.846 0.483 0.011
H -1.125 -1.308 -0.818 0.012
Hg 3.375 1.254 -2.202 0.002
```

## Properties
* ⟨S²⟩: 2.01
* charge: 0
* spin multiplicity: 3
* ΔE to the lowest compared entry with this formula, charge and spin: 3.432 eV
* molar mass: 272.7 g mol⁻¹
* HOMO energy (alpha / beta): -0.28787 / -0.28837 hartree
* Kohn-Sham gap (alpha / beta): 8.52 / 6.84 eV

Computed, not measured: C2H3N3O as an isolated structure, with ωB97M-V/def2-TZVPD.

The geometry in XYZ format:
```
9
Properties=species:S:1:pos:R:3:nbo_charge:R:1
C 0.610 0.051 -0.035 0.413
C -0.368 1.142 -0.074 -0.139
H 2.353 -0.808 0.005 0.494
H -0.198 2.258 0.287 0.236
H -1.836 -1.534 -0.139 0.402
N -1.505 0.522 -0.035 -0.213
N -1.140 -0.769 0.014 -0.204
N 0.141 -1.007 0.012 -0.315
O 1.942 0.144 -0.033 -0.674
```

## Properties
* charge: 0
* ΔE to the lowest compared entry with this formula, charge and spin: 2.675 eV
* molar mass: 85.1 g mol⁻¹
* HOMO energy: -0.34017 hartree
* Kohn-Sham gap: 10.22 eV

Computed, not measured: a 8-piece molecular cluster, C16H24N8 overall, with ωB97M-V/def2-TZVPD.

The geometry in XYZ format:
```
48